Type out the rows further below without altering anything.
1.
# K3Na2LiTeO6
Computed X-ray powder pattern, CuKα. Input: a crystal structure in the Materials Project, relaxed with GGA-PBE.
Neutral-atom scattering factors, no anomalous dispersion.

Principal peaks in the range 15° ≤ 2θ ≤ 90°, low angle first:
- hkl 1 1 -1, 17.1 deg, I 100
- hkl 1 1 1, 18.1 deg, I 97
- hkl 2 0 0, 18.9 deg, I 39
- hkl 2 2 0, 24.0 deg, I 55
- hkl 1 3 1, 27.7 deg, I 46
- hkl 0 4 0, 29.7 deg, I 40
- hkl 0 2 2, 29.9 deg, I 62
- hkl 3 3 0, 36.4 deg, I 25
- hkl 3 3 -1, 38.1 deg, I 51
- hkl 1 1 3, 41.9 deg, I 37
- hkl 2 4 -2, 43.6 deg, I 29
- hkl 5 1 -1, 50.1 deg, I 38

Crystal structure
```
data_K3Na2LiTeO6
_symmetry_space_group_name_H-M 'C 1 c 1'
_symmetry_Int_Tables_number 9
_cell_length_a 9.407
_cell_length_b 12.047
_cell_length_c 6.887
_cell_angle_alpha 90.00
_cell_angle_beta 93.74
_cell_angle_gamma 90.00
loop_
_symmetry_equiv_pos_as_xyz
'x,y,z'
'x,-y,z+1/2'
'x+1/2,y+1/2,z'
'x+1/2,-y+1/2,z+1/2'
loop_
_atom_site_label
_atom_site_type_symbol
_atom_site_fract_x
_atom_site_fract_y
_atom_site_fract_z
K1 K 0.000 0.009 0.000
K2 K 0.169 0.453 0.166
K3 K 0.351 0.040 0.985
Na1 Na 0.253 0.216 0.335
Na2 Na 0.450 0.232 0.638
Li1 Li 0.360 0.278 0.989
Te1 Te 0.108 0.257 0.740
O1 O 0.051 0.301 0.466
O2 O 0.164 0.210 0.013
O3 O 0.221 0.132 0.642
O4 O 0.283 0.353 0.754
O5 O 0.434 0.338 0.236
O6 O 0.495 0.120 0.340
```

***

2.
# K2LiNd4Nb2O12
Computed X-ray powder pattern, CuKα. Input: a crystal structure in the Materials Project, relaxed with GGA-PBE.
Neutral-atom scattering factors, no anomalous dispersion.

Principal peaks in the range 15° ≤ 2θ ≤ 90°, low angle first:
- hkl -1 1 1, 26.1 deg, I 54
- hkl 1 1 -2, 28.5 deg, I 100
- hkl 0 2 0, 28.7 deg, I 23
- hkl 1 2 2, 29.6 deg, I 72
- hkl 2 1 0, 31.0 deg, I 34
- hkl 1 0 3, 37.7 deg, I 16
- hkl 0 1 4, 40.4 deg, I 16
- hkl 2 3 0, 42.7 deg, I 33
- hkl 2 -1 1, 46.1 deg, I 19
- hkl 2 0 -4, 51.8 deg, I 12
- hkl 3 0 -1, 52.2 deg, I 12
- hkl 1 -2 3, 58.1 deg, I 13

Crystal structure
```
data_K2LiNd4Nb2O12
_symmetry_space_group_name_H-M 'P 1'
_symmetry_Int_Tables_number 1
_cell_length_a 5.775
_cell_length_b 7.110
_cell_length_c 8.940
_cell_angle_alpha 74.60
_cell_angle_beta 89.86
_cell_angle_gamma 66.04
loop_
_symmetry_equiv_pos_as_xyz
'x,y,z'
loop_
_atom_site_label
_atom_site_type_symbol
_atom_site_fract_x
_atom_site_fract_y
_atom_site_fract_z
K1 K 0.000 0.000 0.000
K2 K 0.288 0.424 0.941
Li1 Li 0.091 0.809 0.788
Nd1 Nd 0.258 0.481 0.345
Nd2 Nd 0.549 0.900 0.213
Nd3 Nd 0.720 0.556 0.606
Nd4 Nd 0.987 0.023 0.448
Nb1 Nb 0.472 0.051 0.700
Nb2 Nb 0.781 0.437 0.112
O1 O 0.133 0.263 0.574
O2 O 0.139 0.198 0.217
O3 O 0.348 0.831 0.691
O4 O 0.373 0.740 0.409
O5 O 0.435 0.645 0.117
O6 O 0.467 0.061 0.906
O7 O 0.599 0.263 0.574
O8 O 0.661 0.198 0.217
O9 O 0.796 0.405 0.905
O10 O 0.814 0.832 0.689
O11 O 0.885 0.739 0.409
O12 O 0.918 0.646 0.116
```

***

3.
# K2LiNd4Nb2O12
Computed X-ray powder pattern, CuKα. Input: a crystal structure in the Materials Project, relaxed with GGA-PBE.
Neutral-atom scattering factors, no anomalous dispersion.

Principal peaks in the range 15° ≤ 2θ ≤ 90°, low angle first:
- hkl 3 1 -1, 26.5 deg, I 64
- hkl 1 1 2, 28.2 deg, I 100
- hkl 4 0 0, 28.9 deg, I 17
- hkl 3 1 -2, 30.4 deg, I 64
- hkl 0 2 0, 30.9 deg, I 34
- hkl 2 0 -4, 41.0 deg, I 13
- hkl 4 2 0, 42.8 deg, I 25
- hkl 2 2 -3, 44.4 deg, I 17
- hkl 4 2 1, 45.9 deg, I 24
- hkl 2 2 -4, 52.2 deg, I 16
- hkl 1 3 2, 53.3 deg, I 16
- hkl 3 3 -2, 54.6 deg, I 14

Crystal structure
```
data_K2LiNd4Nb2O12
_symmetry_space_group_name_H-M 'C 1 2/m 1'
_symmetry_Int_Tables_number 12
_cell_length_a 12.737
_cell_length_b 5.786
_cell_length_c 8.861
_cell_angle_alpha 90.00
_cell_angle_beta 104.05
_cell_angle_gamma 90.00
loop_
_symmetry_equiv_pos_as_xyz
'x,y,z'
'-x,-y,-z'
'-x,y,-z'
'x,-y,z'
'x+1/2,y+1/2,z'
'-x+1/2,-y+1/2,-z'
'-x+1/2,y+1/2,-z'
'x+1/2,-y+1/2,z'
loop_
_atom_site_label
_atom_site_type_symbol
_atom_site_fract_x
_atom_site_fract_y
_atom_site_fract_z
K1 K 0.120 0.000 0.480
Li1 Li 0.000 0.500 0.500
1.
# K3Na2LiTeO6
Computed X-ray powder pattern, CuKα. Input: a crystal structure in the Materials Project, relaxed with GGA-PBE.
Neutral-atom scattering factors, no anomalous dispersion.

Principal peaks in the range 15° ≤ 2θ ≤ 90°, low angle first:
- hkl 1 1 -1, 17.1 deg, I 100
- hkl 1 1 1, 18.1 deg, I 97
- hkl 2 0 0, 18.9 deg, I 39
- hkl 2 2 0, 24.0 deg, I 55
- hkl 1 3 1, 27.7 deg, I 46
- hkl 0 4 0, 29.7 deg, I 40
- hkl 0 2 2, 29.9 deg, I 62
- hkl 3 3 0, 36.4 deg, I 25
- hkl 3 3 -1, 38.1 deg, I 51
- hkl 1 1 3, 41.9 deg, I 37
- hkl 2 4 -2, 43.6 deg, I 29
- hkl 5 1 -1, 50.1 deg, I 38

Crystal structure
```
data_K3Na2LiTeO6
_symmetry_space_group_name_H-M 'C 1 c 1'
_symmetry_Int_Tables_number 9
_cell_length_a 9.407
_cell_length_b 12.047
_cell_length_c 6.887
_cell_angle_alpha 90.00
_cell_angle_beta 93.74
_cell_angle_gamma 90.00
loop_
_symmetry_equiv_pos_as_xyz
'x,y,z'
'x,-y,z+1/2'
'x+1/2,y+1/2,z'
'x+1/2,-y+1/2,z+1/2'
loop_
_atom_site_label
_atom_site_type_symbol
_atom_site_fract_x
_atom_site_fract_y
_atom_site_fract_z
K1 K 0.000 0.009 0.000
K2 K 0.169 0.453 0.166
K3 K 0.351 0.040 0.985
Na1 Na 0.253 0.216 0.335
Na2 Na 0.450 0.232 0.638
Li1 Li 0.360 0.278 0.989
Te1 Te 0.108 0.257 0.740
O1 O 0.051 0.301 0.466
O2 O 0.164 0.210 0.013
O3 O 0.221 0.132 0.642
O4 O 0.283 0.353 0.754
O5 O 0.434 0.338 0.236
O6 O 0.495 0.120 0.340
```

***

2.
# K2LiNd4Nb2O12
Computed X-ray powder pattern, CuKα. Input: a crystal structure in the Materials Project, relaxed with GGA-PBE.
Neutral-atom scattering factors, no anomalous dispersion.

Principal peaks in the range 15° ≤ 2θ ≤ 90°, low angle first:
- hkl -1 1 1, 26.1 deg, I 54
- hkl 1 1 -2, 28.5 deg, I 100
- hkl 0 2 0, 28.7 deg, I 23
- hkl 1 2 2, 29.6 deg, I 72
- hkl 2 1 0, 31.0 deg, I 34
- hkl 1 0 3, 37.7 deg, I 16
- hkl 0 1 4, 40.4 deg, I 16
- hkl 2 3 0, 42.7 deg, I 33
- hkl 2 -1 1, 46.1 deg, I 19
- hkl 2 0 -4, 51.8 deg, I 12
- hkl 3 0 -1, 52.2 deg, I 12
- hkl 1 -2 3, 58.1 deg, I 13

Crystal structure
```
data_K2LiNd4Nb2O12
_symmetry_space_group_name_H-M 'P 1'
_symmetry_Int_Tables_number 1
_cell_length_a 5.775
_cell_length_b 7.110
_cell_length_c 8.940
_cell_angle_alpha 74.60
_cell_angle_beta 89.86
_cell_angle_gamma 66.04
loop_
_symmetry_equiv_pos_as_xyz
'x,y,z'
loop_
_atom_site_label
_atom_site_type_symbol
_atom_site_fract_x
_atom_site_fract_y
_atom_site_fract_z
K1 K 0.000 0.000 0.000
K2 K 0.288 0.424 0.941
Li1 Li 0.091 0.809 0.788
Nd1 Nd 0.258 0.481 0.345
Nd2 Nd 0.549 0.900 0.213
Nd3 Nd 0.720 0.556 0.606
Nd4 Nd 0.987 0.023 0.448
Nb1 Nb 0.472 0.051 0.700
Nb2 Nb 0.781 0.437 0.112
O1 O 0.133 0.263 0.574
O2 O 0.139 0.198 0.217
O3 O 0.348 0.831 0.691
O4 O 0.373 0.740 0.409
O5 O 0.435 0.645 0.117
O6 O 0.467 0.061 0.906
O7 O 0.599 0.263 0.574
O8 O 0.661 0.198 0.217
O9 O 0.796 0.405 0.905
O10 O 0.814 0.832 0.689
O11 O 0.885 0.739 0.409
O12 O 0.918 0.646 0.116
```

***

3.
# K2LiNd4Nb2O12
Computed X-ray powder pattern, CuKα. Input: a crystal structure in the Materials Project, relaxed with GGA-PBE.
Neutral-atom scattering factors, no anomalous dispersion.

Principal peaks in the range 15° ≤ 2θ ≤ 90°, low angle first:
- hkl 3 1 -1, 26.5 deg, I 64
- hkl 1 1 2, 28.2 deg, I 100
- hkl 4 0 0, 28.9 deg, I 17
- hkl 3 1 -2, 30.4 deg, I 64
- hkl 0 2 0, 30.9 deg, I 34
- hkl 2 0 -4, 41.0 deg, I 13
- hkl 4 2 0, 42.8 deg, I 25
- hkl 2 2 -3, 44.4 deg, I 17
- hkl 4 2 1, 45.9 deg, I 24
- hkl 2 2 -4, 52.2 deg, I 16
- hkl 1 3 2, 53.3 deg, I 16
- hkl 3 3 -2, 54.6 deg, I 14

Crystal structure
```
data_K2LiNd4Nb2O12
_symmetry_space_group_name_H-M 'C 1 2/m 1'
_symmetry_Int_Tables_number 12
_cell_length_a 12.737
_cell_length_b 5.786
_cell_length_c 8.861
_cell_angle_alpha 90.00
_cell_angle_beta 104.05
_cell_angle_gamma 90.00
loop_
_symmetry_equiv_pos_as_xyz
'x,y,z'
'-x,-y,-z'
'-x,y,-z'
'x,-y,z'
'x+1/2,y+1/2,z'
'-x+1/2,-y+1/2,-z'
'-x+1/2,y+1/2,-z'
'x+1/2,-y+1/2,z'
loop_
_atom_site_label
_atom_site_type_symbol
_atom_site_fract_x
_atom_site_fract_y
_atom_site_fract_z
K1 K 0.120 0.000 0.480
Li1 Li 0.000 0.500 0.500